Today I Am An Art Gallery

Or Zarua exhibit explores bar/bat mitzvah customs.


Colorful yarmulkes suspended from the ceiling sway like mobiles. Guests kvell over montages, display cases, photographs and an ice sculpture of a giant Star of David, while feasting on chopped liver and other retro Jewish fare.

+++
[1]
# Be2Sn2Cl7
Theoretical powder XRD pattern, Cu Kα (weighted mean of Kα1 and Kα2). Input: a GGA-PBE-relaxed structure.
No peak broadening, texture or thermal motion is included.

Principal peaks in the range 2θ from 15° to 90°, low angle first:
- 2θ = 15.1°, d = 5.859 Å, I 19
- 2θ = 15.6°, d = 5.691 Å, I 73
- 2θ = 20.3°, d = 4.366 Å, I 100
- 2θ = 26.4°, d = 3.377 Å, I 21
- 2θ = 28.4°, d = 3.139 Å, I 25
- 2θ = 31.8°, d = 2.818 Å, I 42
- 2θ = 33.5°, d = 2.675 Å, I 18
- 2θ = 34.3°, d = 2.618 Å, I 37
- 2θ = 37.0°, d = 2.432 Å, I 34
- 2θ = 40.9°, d = 2.205 Å, I 20

Crystal structure
abc: 7.498 7.498 13.790
angles: 100.96 100.96 102.79
Sites, in units of the cell vectors:
Be1 0.158 0.187 0.232
Be2 0.187 0.158 0.732
Be3 0.813 0.842 0.268
Be4 0.842 0.813 0.768
Sn1 0.123 0.650 0.454
Sn2 0.350 0.877 0.046
Sn3 0.650 0.123 0.954
Sn4 0.877 0.350 0.546
Cl1 0.044 0.745 0.856
Cl2 0.086 0.914 0.250
Cl3 0.202 0.391 0.670
Cl4 0.255 0.956 0.644
Cl5 0.262 0.365 0.373
Cl6 0.365 0.262 0.873
Cl7 0.391 0.202 0.170
Cl8 0.609 0.798 0.830
Cl9 0.635 0.738 0.127
Cl10 0.738 0.635 0.627
Cl11 0.745 0.044 0.356
Cl12 0.798 0.609 0.330
Cl13 0.914 0.086 0.750
Cl14 0.956 0.255 0.144

***

[2]
# TbBeCl5
Theoretical powder XRD pattern, Cu Kα (weighted mean of Kα1 and Kα2). Input: a GGA-PBE-relaxed structure.
No peak broadening, texture or thermal motion is included.

Principal peaks in the range 2θ from 15° to 90°, low angle first:
- 2θ = 18.9°, d = 4.690 Å, I 42
- 2θ = 20.1°, d = 4.413 Å, I 100
- 2θ = 20.5°, d = 4.340 Å, I 19
- 2θ = 20.9°, d = 4.248 Å, I 56
- 2θ = 30.4°, d = 2.936 Å, I 29
- 2θ = 33.0°, d = 2.711 Å, I 41
- 2θ = 33.8°, d = 2.651 Å, I 42
- 2θ = 40.9°, d = 2.206 Å, I 27
- 2θ = 43.1°, d = 2.099 Å, I 19
- 2θ = 44.1°, d = 2.055 Å, I 19

Crystal structure
abc: 6.829 6.829 9.791
angles: 110.66 110.66 86.74
Sites, in units of the cell vectors:
Tb1 0.000 0.500 0.000
Tb2 0.500 0.000 0.500
Be1 0.137 0.863 0.750
Be2 0.863 0.137 0.250
Cl1 0.139 0.182 0.432
Cl2 0.167 0.619 0.830
Cl3 0.182 0.139 0.932
Cl4 0.346 0.654 0.250
Cl5 0.381 0.833 0.670
Cl6 0.619 0.167 0.330
Cl7 0.654 0.346 0.750
Cl8 0.818 0.861 0.068
Cl9 0.833 0.381 0.170
Cl10 0.861 0.818 0.568

***

[3]
# Be2TcCl
Theoretical powder XRD pattern, Cu Kα (weighted mean of Kα1 and Kα2). Input: a GGA-PBE-relaxed structure.
No peak broadening, texture or thermal motion is included.

Principal peaks in the range 2θ from 15° to 90°, low angle first:
- 2θ = 24.6°, d = 3.614 Å, I 100
- 2θ = 28.3°, d = 3.150 Å, I 74
- 2θ = 33.1°, d = 2.710 Å, I 88
- 2θ = 37.6°, d = 2.392 Å, I 31
- 2θ = 38.2°, d = 2.358 Å, I 30
- 2θ = 44.0°, d = 2.060 Å, I 44
- 2θ = 44.2°, d = 2.049 Å, I 43
- 2θ = 49.0°, d = 1.859 Å, I 34
- 2θ = 57.3°, d = 1.609 Å, I 19
- 2θ = 58.6°, d = 1.576 Å, I 20

Crystal structure
abc: 3.151 2.924 7.229
angles: 90.00 90.81 90.00
Sites, in units of the cell vectors:
Be1 0.000 0.000 0.000
Be2 0.494 0.500 0.815
Tc1 0.991 0.000 0.694
Cl1 0.004 0.500 0.192

***

[4]
# BeTc2Cl
+++

A July opening at the Center for Jewish History? An ethnic-themed exhibit at a Chelsea gallery?

Try again. “Today I Am … Jewish Coming of Age Rituals,” an exploration of bar and bat mitzvah customs and celebrations, is the 13th gallery exhibition at Congregation Or Zarua on the Upper East Side.

The Conservative synagogue’s sleek, minimalist social hall regularly doubles as an exhibition space. Metal strips from which to hang pictures and neutral beige walls “gave us the idea early on that it could work as a gallery,” says Bobbi Coller, an art historian and curator who heads OZ’s gallery committee.

Coller’s inspiration for the current exhibit was congregant Michael Schwartz’s 70th birthday reprise of his bar mitzvah haftarah. He had brought his bar mitzvah album from 1954. “The party was held in a suburban backyard: I was captivated by the charm, the nostalgia,” Coller says.

Along with pictures from Schwartz’s album, the exhibition features other personal photos and memorabilia from OZ members: a 1906 letter in Yiddish from a congregant’s great-uncle to his grandparents in Russia, lamenting their absence at his bar mitzvah; a bar mitzvah announcement with the honoree’s picture published in a 1949 New York Post, a 1953 movie of big-haired party-goers doing the Mexican Hat Dance in Providence, R.I., and monogrammed thank-you notes designed by a future architect.

There’s a photo of a congregant’s father’s 1918 bar mitzvah class in knickers from Reading, Pa., and another of OZ President Diane Okrent with confirmation classmates in flowing white robes in Wantagh, L.I. The two-year confirmation course focused on ethics and the meaning of prayer, and was “a cool continuation of Hebrew school,” says Okrent, who had a bat mitzvah, too.

Descriptive panels formatted like a Torah scroll, with text provided by congregants, document the rite’s passage from simple to glitzy, its fate during the Holocaust, and the origins of confirmation and bat mitzvah.

In earlier times, you didn’t have to be 13, says Barry Feldman, a Yiddishist and oral historian. “If a child demonstrated the spiritual maturity, willingness and ability to observe a commandment,” he could be called to the Torah at a younger age.

Such a precocious tween was congregant Ninette Lukashok’s father, who had his bar mitzvah in Morocco at age 11. His Moorish-style red velvet and gold-tasseled tefillin bag, a gift from his father, is displayed next to “The Bar Mitzvah Pulpit” by Rabbi Simon Glazer, a book that, long before the Internet, offered ready-made “sermonettes.”

Some OZ exhibits travel beyond its social hall. “Bagels, Babka and Balabustas” about Jewish food in America, was mounted at the Society for the Advancement of Judaism, and “From Yankel to Yankee,” about Yiddish theater and Americanization, at Temple Beth El in Fairfield, Conn.

The exhibitions are “a beautiful mirror of congregants’ personal Jewish stories, which we continue to build and reflect on as a congregation,” says OZ’s rabbi, Scott Bolton. The display also includes tefillin from pre-Holocaust Europe, which Rabbi Bolton uses in teaching bar and bat mitzvah students.

To visit, call (212) 452-2310. Mon-Thur, 9 a.m.-5 p.m., Fri., 9 a.m.-1 p.m.
